It felt good to finally tell someone about everything that had been going on. Someone I knew wouldn’t judge me, because she’d succumbed to the strange supernatural pulse too, albeit in a different way. It made me feel less alone; less of a monster. That sensation of being tainted, compromised . . . it eased off, if only for a moment.

Then she told me about the ritual; the book in the library, the missing pages, the wooded glade filled with ingredients – her description matched the one I’d been imagining perfectly.

‘So, to sum up,’ I said, ‘we’re fucked.’

Alice grinned.

‘What?’ I retorted. ‘It doesn’t seem particularly funny.’

She snorted, taking a long sip of black coffee. ‘No, it’s just nice hearing you be negative for once. The whole sun-shines-out-of-my-butt thing gets old.’

‘I’m not positive all the time,’ I replied, folding my arms.

Alice fixed me with an amused glare. ‘Name one thing you dislike.’

• Crystal structures, kept here for reference:
GGA+U Cs3Sm3MoO8, relaxed; space group = C2/m, No. 12; spin magnetization = 0.133 μB per atom; DFT total energy = -6.638 eV per atom
1.0
-6.114 -0.160 3.470
2.099 -5.680 -3.688
3.901 1.360 6.936
Cs Sm Mo O
3 3 1 8
Direct
0.000 0.000 0.000
0.000 0.500 0.000
0.500 0.500 0.000
0.500 0.000 0.500
0.500 0.500 0.500
0.000 0.500 0.500
0.000 0.000 0.500
0.280 0.560 0.336
0.720 0.440 0.664
0.791 0.583 0.342
0.209 0.417 0.658
0.800 0.048 0.346
0.200 0.952 0.654
0.248 0.048 0.346
0.752 0.952 0.654

~~~~~

Entry from Alexandria: Tl2AgO6 after structural relaxation (PBE).

```
Tl2AgO6
1.0
4.988 0.000 0.000
0.000 4.988 0.000
0.000 0.000 10.279
Tl Ag O
4 2 12
direct
0.000 0.000 0.167 Tl
0.000 0.000 0.833 Tl
0.500 0.500 0.333 Tl
0.500 0.500 0.667 Tl
0.000 0.000 0.500 Ag
0.500 0.500 0.000 Ag
0.183 0.183 0.345 O
0.183 0.183 0.655 O
0.206 0.206 0.000 O
0.294 0.706 0.500 O
0.317 0.683 0.155 O
0.317 0.683 0.845 O
0.683 0.317 0.155 O
0.683 0.317 0.845 O
0.706 0.294 0.500 O
0.794 0.794 0.000 O
0.817 0.817 0.345 O
0.817 0.817 0.655 O
```

Output
The final energy is -0.1520 hartree per atom. As for the magnetization: 0.133 μB/atom. The value obtained for the formation energy (no corrections) is 0.013 eV/atom.

After a long pause, I said, ‘Cola bottles.’

She arched a villainous brow. ‘You ate a bag of cola bottles literally yesterday.’

‘Okay, I dislikesomecola bottles.’

‘All cola bottles taste the same.’

I shook my head vehemently. ‘Not the one my friend Frankie dared me to eat when I was fourteen. It had been stuck to the bottom of her shoe all day.’

‘So let me get this straight. Of all the people, places and things that exist in past, present or future, the only one you actively dislike is a specific cola bottle you ate half a decade ago?’

I nodded sagely. ‘Sounds about right.’

Next to the entry, the page also holds calculated crystals =
(i)
Here is crystalline TaMnH4 at its relaxed geometry from Alexandria. Energies are from GGA-PBE.

a = 4.099 Å, b = 4.098 Å, c = 5.521 Å
α = 90.00°, β = 90.00°, γ = 90.00°
Last column: magnetic moment on the atom in μB.
Positions (direct):
Ta 0.000 0.000 0.500  0.17
Ta 0.500 0.500 0.500  0.17
Mn 0.500 0.500 0.000  3.25
Mn 0.000 0.000 0.000  3.25
H 0.250 0.750 0.754  -0.01
H 0.750 0.750 0.754  -0.01
H 0.750 0.250 0.754  -0.01
H 0.750 0.750 0.246  -0.01
H 0.250 0.250 0.754  -0.01
H 0.250 0.750 0.246  -0.01
H 0.250 0.250 0.246  -0.01
H 0.750 0.250 0.246  -0.01

Computed properties:
Total magnetic moment   3.6 μB per formula unit

---

(ii)
Here is crystalline TaMnH4 at its relaxed geometry from Alexandria. Energies are from GGA-PBE.

a = 4.287 Å, b = 4.287 Å, c = 5.299 Å
α = 113.82°, β = 113.83°, γ = 90.06°
Last column: magnetic moment on the atom in μB.
Positions (direct):
Ta 0.250 0.750 0.000  -0.05
Ta 0.750 0.250 0.000  -0.05
Mn 0.500 0.500 0.500  1.53
Mn 0.000 0.000 0.500  1.53
H 0.144 0.144 0.287  -0.01
H 0.144 0.644 0.288  -0.01
H 0.644 0.144 0.288  -0.01
H 0.644 0.644 0.287  -0.01
H 0.356 0.856 0.712  -0.01
H 0.356 0.356 0.713  -0.01
H 0.856 0.856 0.713  -0.01
H 0.856 0.356 0.712  -0.01

Computed properties:
Total magnetic moment   1.4 μB per formula unit

---

Stability, highest: (ii)

---

(i)
Here is crystalline TaMn2H at its relaxed geometry from Alexandria. Energies are from GGA-PBE.

a = 4.981 Å, b = 4.981 Å, c = 4.978 Å
α = 59.98°, β = 59.98°, γ = 90.00°
Positions (direct):
H 0.500 0.500 0.000
H 0.250 0.750 0.500
Mn 0.375 0.125 0.250
Mn 0.375 0.625 0.250
Mn 0.375 0.625 0.750
Mn 0.875 0.625 0.750
Ta 0.000 0.000 0.000
Ta 0.750 0.250 0.500

Computed properties:
Total magnetic moment   0.1 μB per formula unit

---

(ii)
Here is crystalline TaMn2H at its relaxed geometry from Alexandria. Energies are from GGA-PBE.

a = 4.115 Å, b = 4.115 Å, c = 4.115 Å
α = 60.00°, β = 60.00°, γ = 60.00°
Last column: magnetic moment on the atom in μB.
Positions (direct):
H 0.000 0.000 0.000  0.00
Mn 0.250 0.250 0.250  2.12
Mn 0.750 0.750 0.750  2.12
Ta 0.500 0.500 0.500  -0.55

Computed properties:
Total magnetic moment   3.8 μB per formula unit

---

Stability, highest: (i)

---

(i)
Here is crystalline TaMn2HW at its relaxed geometry from Alexandria. Energies are from GGA-PBE.

a = 3.810 Å, b = 3.810 Å, c = 4.155 Å
α = 90.00°, β = 90.00°, γ = 90.00°
Last column: magnetic moment on the atom in μB.
Positions (direct):
H 0.000 0.000 0.000  -0.01
Mn 0.000 0.500 0.000  1.98
Mn 0.500 0.000 0.000  1.98
W 0.000 0.000 0.500  -0.12
Ta 0.500 0.500 0.500  -0.13

Computed properties:
Total magnetic moment   3.8 μB per formula unit

---

(ii)
Here is crystalline TaMn2HW at its relaxed geometry from Alexandria. Energies are from GGA-PBE.

a = 3.792 Å, b = 3.792 Å, c = 4.197 Å
α = 90.00°, β = 90.00°, γ = 90.00°
Last column: magnetic moment on the atom in μB.
Positions (direct):
H 0.000 0.000 0.000  -0.01
Mn 0.000 0.500 0.000  2.00
Mn 0.500 0.000 0.000  2.00

Alice shook her head, and a lock of red hair fell into her eyes. ‘Unbelievable.’

‘Anyway, back to the life-threatening situation at hand. How do you think any of this fits in with Poppy’s death?’ I mused. I was warming up now, thanks to the toast and the coffee and the conversation. ‘Like, could she have performed the ritual? Or did the North Tower have Poppy in its grasp too?’

Alice shook her head. ‘I don’t know. As awful as it sounds, I’m more focused on how the fuck I’m going to fix this. I can’t . . . god, what happened last night can’t happen again. It wasn’t just the pain, it was . . . what if you hadn’t helped me? What if the darkness had won before I could take the tincture, and I hurt someone? What if I’d hurtyou?’

Somehow, I got the sense that she was holding back. There was something she still couldn’t tell me. Was it about Poppy? Had she done something awful in the throes of monstrosity?

‘Well, first of all, you’ll never be in that situation again,’ I said. ‘Now that I know, I can be on the lookout for signs of the transformation. We can be prepared with the tincture ready to go as soon as it starts happening. And we’ll find a way to restrain you while it’s happening so you can’t hurt anyone – or yourself. You’re not in this alone any more.’

Alice looked as though she might have been touched by this, if she were in any way a normal person with normal emotions. Something seemed to bob in her throat, but she swallowed and looked away. ‘Second?’

I drained the final dregs of my coffee, laid down the mug and got to my feet. ‘We have to find those missing pages. I think they have our answers.’